== Input ==
=====
Calculated X-ray powder pattern
Compound: Tb2NdIn3PtAu2
Radiation: Cu Kα (λ = 1.5418 Å)
Structure: DFT lattice parameters and positions (GGA-PBE)
No peak broadening, texture or thermal motion is included.

Cell and atoms:
Lattice parameters (Å, degrees): 4.004 7.780 7.780 120.19 90.00 90.00
Element x y z (fractional)
Tb 0.000 0.200 0.800
Tb 0.000 0.800 0.200
Nd 0.000 0.603 0.603
In 0.500 0.198 0.454
In 0.500 0.454 0.198
In 0.500 0.947 0.947
Pt 0.000 0.196 0.196
Au 0.500 0.532 0.871
Au 0.500 0.871 0.532

Main lines, by intensity (2θ from 10° to 80°):
- d = 2.576 Å, 34.83 deg, I 100
- d = 2.788 Å, 32.10 deg, I 85
- d = 2.241 Å, 40.23 deg, I 36
- d = 2.149 Å, 42.05 deg, I 31
- d = 1.494 Å, 62.14 deg, I 30
- d = 2.002 Å, 45.30 deg, I 27
- d = 1.442 Å, 64.64 deg, I 25
- d = 2.546 Å, 35.25 deg, I 24
- d = 3.886 Å, 22.88 deg, I 18
- d = 2.248 Å, 40.11 deg, I 18
- d = 1.573 Å, 58.68 deg, I 16
- d = 2.144 Å, 42.14 deg, I 14
=====
== Work order ==
Copy the block further above from the line with "Radiation: Cu" to the end word for word.
== Written answer ==
Radiation: Cu Kα (λ = 1.5418 Å)
Structure: DFT lattice parameters and positions (GGA-PBE)
No peak broadening, texture or thermal motion is included.

Cell and atoms:
Lattice parameters (Å, degrees): 4.004 7.780 7.780 120.19 90.00 90.00
Element x y z (fractional)
Tb 0.000 0.200 0.800
Tb 0.000 0.800 0.200
Nd 0.000 0.603 0.603
In 0.500 0.198 0.454
In 0.500 0.454 0.198
In 0.500 0.947 0.947
Pt 0.000 0.196 0.196
Au 0.500 0.532 0.871
Au 0.500 0.871 0.532

Main lines, by intensity (2θ from 10° to 80°):
- d = 2.576 Å, 34.83 deg, I 100
- d = 2.788 Å, 32.10 deg, I 85
- d = 2.241 Å, 40.23 deg, I 36
- d = 2.149 Å, 42.05 deg, I 31
- d = 1.494 Å, 62.14 deg, I 30
- d = 2.002 Å, 45.30 deg, I 27
- d = 1.442 Å, 64.64 deg, I 25
- d = 2.546 Å, 35.25 deg, I 24
- d = 3.886 Å, 22.88 deg, I 18
- d = 2.248 Å, 40.11 deg, I 18
- d = 1.573 Å, 58.68 deg, I 16
- d = 2.144 Å, 42.14 deg, I 14